**Activity**
Transcribe all of the block further below without altering anything, please.

**Given**
********
A plane-wave DFT calculation with PBE-GGA was carried out for a geometry-optimized CeBi2Pd7 structure.

Properties
Its space-group type is I4/mmm, No. 139. Its total DFT energy (no corrections) is -54.2 eV per cell. As for the density of states at the Fermi level: 6.8 states/eV/f.u. The energy of formation comes out at -0.414 eV per atom. The volume comes out at 20.148 Å³ per atom. The calculation puts the energy relative to the lowest polymorph listed for this composition at 0 meV/atom.

The structure in POSCAR format:
```
CeBi2Pd7
1.0
-0.813 3.208 -2.402
-3.937 -0.182 1.090
4.580 5.941 9.862
Pd Bi Ce
7 2 1
Direct
0.413 0.913 0.827 Pd
0.913 0.413 0.827 Pd
0.750 0.250 0.500 Pd
0.500 0.500 0.000 Pd
0.250 0.750 0.500 Pd
0.087 0.587 0.173 Pd
0.587 0.087 0.173 Pd
0.669 0.669 0.338 Bi
0.331 0.331 0.662 Bi
0.000 0.000 0.000 Ce
```


! Cs2DyFe2O6 | the Alexandria database | PBE+U | optimized geometry; values from VASP
! electronic total energy = -5.969 eV/atom
! calculated density = 5185 kg/m3
! space group = R-3m, No. 166
&SYSTEM
  ibrav = 0, nat = 11, ntyp = 4
/
ATOMIC_SPECIES
Cs 132.91 Cs.upf
Dy 162.50 Dy.upf
Fe 55.84 Fe.upf
O 16.00 O.upf
CELL_PARAMETERS angstrom
-2.273 5.143 -2.692
-6.092 1.274 0.359
-1.840 5.234 4.335
ATOMIC_POSITIONS angstrom
Cs -7.737 8.467 1.053
Cs -2.468 3.184 0.948
Dy 0.000 0.000 0.000
Fe -4.880 6.551 2.199
Fe -5.325 5.100 -0.197
O -6.731 6.029 -0.780
O -5.615 3.504 0.542
O -3.740 5.403 -0.956
O -6.465 6.248 2.958
O -4.590 8.148 1.460
O -3.474 5.622 2.782

! Cs4Dy3FeO8 | the Alexandria database | PBE+U | optimized geometry; values from VASP
! electronic total energy = -6.143 eV/atom
! calculated density = 6916 kg/m3
! space group = R-3m, No. 166
&SYSTEM
  ibrav = 0, nat = 16, ntyp = 4
/
ATOMIC_SPECIES
Cs 132.91 Cs.upf
Dy 162.50 Dy.upf
Fe 55.84 Fe.upf
O 16.00 O.upf
CELL_PARAMETERS angstrom
-4.442 -4.970 -2.084
4.172 -5.419 4.033
-2.337 5.448 3.691
ATOMIC_POSITIONS angstrom
Cs -2.221 -2.485 -1.042
Cs -3.390 0.239 0.803
Cs 0.000 0.000 0.000
Cs -1.169 2.724 1.845
Dy -0.135 -5.195 0.975
Dy -1.304 -2.470 2.820
Dy 0.917 0.014 3.862
Fe 2.086 -2.710 2.017
O -0.403 0.527 5.727
O 0.820 -2.324 3.795
O -1.138 -0.171 2.833
O -2.727 -2.074 4.637
O 0.120 -2.867 1.003
O -1.469 -4.770 2.807
O -3.428 -2.617 1.846
O -2.204 -5.468 -0.087

> Among the records above, which one has the lowest electronic total energy?

Cs4Dy3FeO8

> Which value of calculated density does entry 2 give?

6916 kg/m3

> The lowest electronic total energy belongs to which entry?

Cs4Dy3FeO8

> Among the records above, which one has the highest electronic total energy?

Cs2DyFe2O6


Record 1
# Pr8Ru3Br4Cl

Crystalline Pr8Ru3Br4Cl at its relaxed geometry (PBE, Alexandria).

Properties
E (eV per atom): -5.57
Crystal system: trigonal

Cell lengths 8.408, 9.190, 8.406 Å; angles 117.23, 120.01, 90.00 degrees
Atoms (fractional coordinates):
1 Pr 0.245 0.698 0.954
2 Pr 0.245 0.698 0.490
3 Pr 0.267 0.301 0.534
4 Pr 0.709 0.698 0.954
5 Pr 0.291 0.302 0.046
6 Pr 0.733 0.699 0.466
7 Pr 0.755 0.302 0.510
8 Pr 0.755 0.302 0.046
9 Ru 0.500 0.500 0.000
10 Ru 0.500 0.500 0.500
11 Ru 0.000 0.500 0.500
12 Br 0.500 0.000 0.000
13 Br 0.500 0.000 0.500
14 Br 0.000 0.000 0.000
15 Br 0.000 0.000 0.500
16 Cl 0.000 0.500 0.000

---

Record 2
# Mg2CdTe

Crystalline Mg2CdTe at its relaxed geometry (PBE, Alexandria).

Properties
Polymorph energy (0 for the lowest one) (meV/atom): 41.8
E (eV per atom): -2.05
Crystal system: monoclinic

Cell lengths 4.089, 4.168, 6.538 Å; angles 67.79, 90.00, 90.00 degrees
Atoms (fractional coordinates):
1 Cd 0.500 0.617 0.838
2 Mg 0.000 0.060 0.925
3 Mg 0.500 0.190 0.322
4 Te 0.000 0.634 0.415

---

Record 3
# Cu2OF2

Crystalline Cu2OF2 at its relaxed geometry (PBE, Alexandria).

Properties
Polymorph energy (0 for the lowest one) (meV/atom): 1.1
E (eV per atom): -4.49
Crystal system: triclinic

Cell lengths 5.730, 6.001, 5.730 Å; angles 72.28, 68.33, 107.52 degrees
Site moments in Bohr magnetons follow the coordinates.
********

**Reply**
A plane-wave DFT calculation with PBE-GGA was carried out for a geometry-optimized CeBi2Pd7 structure.

Properties
Its space-group type is I4/mmm, No. 139. Its total DFT energy (no corrections) is -54.2 eV per cell. As for the density of states at the Fermi level: 6.8 states/eV/f.u. The energy of formation comes out at -0.414 eV per atom. The volume comes out at 20.148 Å³ per atom. The calculation puts the energy relative to the lowest polymorph listed for this composition at 0 meV/atom.

The structure in POSCAR format:
```
CeBi2Pd7
1.0
-0.813 3.208 -2.402
-3.937 -0.182 1.090
4.580 5.941 9.862
Pd Bi Ce
7 2 1
Direct
0.413 0.913 0.827 Pd
0.913 0.413 0.827 Pd
0.750 0.250 0.500 Pd
0.500 0.500 0.000 Pd
0.250 0.750 0.500 Pd
0.087 0.587 0.173 Pd
0.587 0.087 0.173 Pd
0.669 0.669 0.338 Bi
0.331 0.331 0.662 Bi
0.000 0.000 0.000 Ce
```


! Cs2DyFe2O6 | the Alexandria database | PBE+U | optimized geometry; values from VASP
! electronic total energy = -5.969 eV/atom
! calculated density = 5185 kg/m3
! space group = R-3m, No. 166
&SYSTEM
  ibrav = 0, nat = 11, ntyp = 4
/
ATOMIC_SPECIES
Cs 132.91 Cs.upf
Dy 162.50 Dy.upf
Fe 55.84 Fe.upf
O 16.00 O.upf
CELL_PARAMETERS angstrom
-2.273 5.143 -2.692
-6.092 1.274 0.359
-1.840 5.234 4.335
ATOMIC_POSITIONS angstrom
Cs -7.737 8.467 1.053
Cs -2.468 3.184 0.948
Dy 0.000 0.000 0.000
Fe -4.880 6.551 2.199
Fe -5.325 5.100 -0.197
O -6.731 6.029 -0.780
O -5.615 3.504 0.542
O -3.740 5.403 -0.956
O -6.465 6.248 2.958
O -4.590 8.148 1.460
O -3.474 5.622 2.782

! Cs4Dy3FeO8 | the Alexandria database | PBE+U | optimized geometry; values from VASP
! electronic total energy = -6.143 eV/atom
! calculated density = 6916 kg/m3
! space group = R-3m, No. 166
&SYSTEM
  ibrav = 0, nat = 16, ntyp = 4
/
ATOMIC_SPECIES
Cs 132.91 Cs.upf
Dy 162.50 Dy.upf
Fe 55.84 Fe.upf
O 16.00 O.upf
CELL_PARAMETERS angstrom
-4.442 -4.970 -2.084
4.172 -5.419 4.033
-2.337 5.448 3.691
ATOMIC_POSITIONS angstrom
Cs -2.221 -2.485 -1.042
Cs -3.390 0.239 0.803
Cs 0.000 0.000 0.000
Cs -1.169 2.724 1.845
Dy -0.135 -5.195 0.975
Dy -1.304 -2.470 2.820
Dy 0.917 0.014 3.862
Fe 2.086 -2.710 2.017
O -0.403 0.527 5.727
O 0.820 -2.324 3.795
O -1.138 -0.171 2.833
O -2.727 -2.074 4.637
O 0.120 -2.867 1.003
O -1.469 -4.770 2.807
O -3.428 -2.617 1.846
O -2.204 -5.468 -0.087

> Among the records above, which one has the lowest electronic total energy?

Cs4Dy3FeO8

> Which value of calculated density does entry 2 give?

6916 kg/m3

> The lowest electronic total energy belongs to which entry?

Cs4Dy3FeO8

> Among the records above, which one has the highest electronic total energy?

Cs2DyFe2O6


Record 1
# Pr8Ru3Br4Cl

Crystalline Pr8Ru3Br4Cl at its relaxed geometry (PBE, Alexandria).

Properties
E (eV per atom): -5.57
Crystal system: trigonal

Cell lengths 8.408, 9.190, 8.406 Å; angles 117.23, 120.01, 90.00 degrees
Atoms (fractional coordinates):
1 Pr 0.245 0.698 0.954
2 Pr 0.245 0.698 0.490
3 Pr 0.267 0.301 0.534
4 Pr 0.709 0.698 0.954
5 Pr 0.291 0.302 0.046
6 Pr 0.733 0.699 0.466
7 Pr 0.755 0.302 0.510
8 Pr 0.755 0.302 0.046
9 Ru 0.500 0.500 0.000
10 Ru 0.500 0.500 0.500
11 Ru 0.000 0.500 0.500
12 Br 0.500 0.000 0.000
13 Br 0.500 0.000 0.500
14 Br 0.000 0.000 0.000
15 Br 0.000 0.000 0.500
16 Cl 0.000 0.500 0.000

---

Record 2
# Mg2CdTe

Crystalline Mg2CdTe at its relaxed geometry (PBE, Alexandria).

Properties
Polymorph energy (0 for the lowest one) (meV/atom): 41.8
E (eV per atom): -2.05
Crystal system: monoclinic

Cell lengths 4.089, 4.168, 6.538 Å; angles 67.79, 90.00, 90.00 degrees
Atoms (fractional coordinates):
1 Cd 0.500 0.617 0.838
2 Mg 0.000 0.060 0.925
3 Mg 0.500 0.190 0.322
4 Te 0.000 0.634 0.415

---

Record 3
# Cu2OF2

Crystalline Cu2OF2 at its relaxed geometry (PBE, Alexandria).

Properties
Polymorph energy (0 for the lowest one) (meV/atom): 1.1
E (eV per atom): -4.49
Crystal system: triclinic

Cell lengths 5.730, 6.001, 5.730 Å; angles 72.28, 68.33, 107.52 degrees
Site moments in Bohr magnetons follow the coordinates.